You Like Me! You Really Like Me!

I thank Time Magazine for this award, and offer the following thoughts at this time. Hopefully, the music won’t start playing before I’m done, and Whoopi Goldberg or Billy Crystal won’t escort me off the stage.

Unrelated to this piece: molecular data
(1)
A gas-phase ion, C3H3O3 (charge +1) at a distorted geometry, computed with the ωB97M-V functional and the def2-TZVPD basis.

```
9
Properties=species:S:1:pos:R:3
C -2.10436 -0.28630 -0.08869
C 0.06094 0.05490 0.50843
C 1.07033 -0.19772 -0.26755
O -3.23480 -0.10772 -0.06448
O 2.24104 0.26237 -0.34872
O -0.96113 -0.45744 -0.16739
H -0.45853 0.75386 1.25093
H 0.84758 -0.94253 -1.05513
H 2.53893 0.92058 0.23260
```

Values from the calculation:
Gap between HOMO and LUMO = 10.197 eV
HOMO = -14.87 eV
Electronic energy = -9290.37008 eV
Energy relative to the best compared isomer or geometry (same formula, charge and spin) = 58.85 kcal per mole
Multiplicity = 1
Total charge = +1

These are the Löwdin partial charges, in e, on atoms 1 to 5: -0.137, -0.019, -0.166, 0.402, 0.195

---

(2)
2 unconnected molecules or ions with the total composition C3H3O3 at a distorted geometry, computed with the ωB97M-V functional and the def2-TZVPD basis.

```
9
Properties=species:S:1:pos:R:3
C 0.08160 -0.26726 -3.01146
C 0.10694 -0.62235 0.12580
C 0.12109 0.49780 1.14785
O -0.60657 -0.37993 -3.87198
O 0.16644 0.18781 2.35593
O -0.45428 -0.31710 -0.96704
H 0.34642 -1.59478 0.37492
H 0.06769 1.52439 0.75193
H 0.17067 0.97143 3.09405
```

Values from the calculation:
Gap between HOMO and LUMO (spin up / spin down) = 7.736 / 7.737 eV
HOMO (spin up / spin down) = -15.46 / -15.46 eV
Electronic energy = -9290.63084 eV
Energy relative to the best compared isomer or geometry (same formula, charge and spin) = 52.84 kcal per mole
Multiplicity = 1
Total charge = +1

These are the Löwdin partial charges, in e, on atoms 1 to 5: 0.020, -0.046, 0.064, 0.146, 0.224

---

(3)
A molecular structure, C3H3O3Pm at a distorted geometry, computed with the ωB97M-V functional and the def2-TZVPD basis.

```
10
Properties=species:S:1:pos:R:3
H -1.29771 2.84933 -1.21518
O -1.31465 1.53427 0.79723
C -0.52859 1.39560 -0.11264
O -0.57132 2.21544 -1.23091
O 0.42146 0.55671 -0.27703
Pm 1.51921 1.11813 -2.29769
H 0.30732 -1.64154 0.52347
C 0.52751 -2.62612 1.30279
C -0.22723 -2.89407 0.33952
H 1.16400 -2.50774 2.17043
```

Values from the calculation:
Gap between HOMO and LUMO (spin up / spin down) = 7.066 / 7.347 eV
HOMO (spin up / spin down) = -12.88 / -13.08 eV
Electronic energy = -25845.79481 eV
Energy relative to the best compared isomer or geometry (same formula, charge and spin) = 56.18 kcal per mole
Multiplicity = 6
Total charge = +1

These are the Löwdin partial charges, in e, on atoms 1 to 5: 0.138, 0.140, -0.786, -0.063, -0.233

---

(4)
A molecular structure, C3H3O3Pt at a distorted geometry, computed with the ωB97M-V functional and the def2-TZVPD basis.

```
10
Properties=species:S:1:pos:R:3
O 0.21329 -0.63738 0.98296
O -1.33250 -0.25529 -1.22736
C -0.39229 0.64162 -1.52569
C 0.61640 0.95769 -0.58607
O 0.45315 -1.77501 3.31265
C 0.11009 -1.73045 2.19407
Pt -1.20408 -1.12744 0.19219
H -0.40102 1.10603 -2.52280
H 0.31688 1.69560 0.17783
H 1.62008 1.12461 -0.99778
```

Many years ago, in the Peter, Paul, and Mary 25th Anniversary Concert (1986), Noel Paul Stookey did a comedy routine where the talked about the growing self-centeredness of society. I’m paraphrasing it here, but I think you’ll get the gist of his point.

Paul pointed out that our views of our society are often reflected by our media. In the 1940s, we had a broad view, and our media reflected that. There was a magazine called Life, and it took a broad view of life. Later, our view narrowed, and a new magazine was born: People. People are a part of life, but not all of life. Next we had Us. Us are a part of the set of people, but we are excluding them. What came next? Self. Of course, this is even further subdivided, as there is now a magazine called Inner Self. Paul hypothesized that one day there would be a magazine called Meeeeeee, which consisted only of 40 pages of reflective paper. I’ll note the the “80’s: A Look Back” hypothesized a best-selling magazine called Fred, which was for only people called Fred. Perhaps they knew what was coming up.

So now we have the “Time Person of the Year”. What’s on the cover? Aluminum foil, just as Paul Stookey predicted. Time Magazine indicates that their point is that one of the forces that proved seminal this year was the power of the individual through the web. Through blogging and journalling (such as we do here), though the posting of videos on sites like YouTube, through the connections being made through social sites such as MySpace (ugh). It is making people matter. We have lots of voices of varying quality, forming a chorus that has the power to overwelm, to trample like the bulls running in Paploma anything and anyone in their way. Time thinks this is a good thing, but then again, they named the Computer as the “Man of the Year” in 1982 (which actually was a very prescient article).

But have we gained anything? There was a reason that truly democratic models have failed: people are stupid, en masse. A republic of government, or representative democracy, allows a hopefully educated third party to balance out the blatent self-interest and truly stupid ideas to work for the common good. An editor in a newpaper or publication serves the same function: making sure that information is vetted, and has appropriate sources to back it up. We have seen (far too often) in the blogosphere that stupid ideas often taken on a life of their own, and it is far too easy for lynch mobs to form.

[What comes next are molecular data, not part of the article]
<<<
109
Properties=species:S:1:pos:R:3 method="wB97M-V/def2-TZVPD" homo_energy_ev=-6.1 relative_energy_kj_mol=502.5 lumo_ha=-0.003
C -2.371 -0.291 1.546
O 1.984 0.357 0.403
H -0.739 -4.862 -0.908
C -0.080 -8.138 -4.890
C -1.526 -8.515 -5.095
H 3.482 -3.993 -2.553
C 2.315 2.360 -2.518
C -1.712 0.981 1.991
C 2.515 1.048 -4.259
C -1.541 -1.437 3.576
N -1.150 0.168 -1.873
C 0.725 -2.526 -0.944
C 5.655 1.467 -0.935
C -2.101 -5.239 1.775
H 7.304 2.836 -0.805
C -1.522 -1.495 2.054
C -1.643 -4.986 -4.653
C 3.024 -0.602 2.786
Zr 0.303 -0.418 -0.129
C 5.803 3.235 0.678
S -2.836 -7.465 -4.473
H 0.338 -0.477 6.220
H 3.939 2.717 -4.013
N -0.880 -0.116 -3.172
H -3.568 -2.142 3.705
H -4.277 -4.246 -0.614
N -0.577 1.313 1.348
H 3.872 0.270 -0.856
C -3.079 -5.333 0.791
C -0.628 -3.807 -2.784
H -3.711 -1.880 6.147
H -2.404 -0.330 0.454
C -0.992 -4.894 -1.963
H -1.754 -1.048 7.424
C 2.820 1.570 3.761
C -0.448 -0.975 4.291
H -0.863 -3.928 2.930
H 0.253 -7.589 -5.774
H 3.541 -2.191 4.123
C -2.714 -1.760 4.256
H 2.433 3.133 -1.774
C 1.545 2.532 1.195
H 0.489 -9.062 -4.824
C -2.795 -1.619 5.632
C 0.211 2.282 1.849
H -3.465 -6.301 0.496
H -1.905 -5.020 -5.705
H 2.980 -1.254 1.924
C 6.347 2.540 -0.395
H 6.333 4.074 1.111
H -3.432 -2.060 0.053
C -1.617 -3.999 2.154
C -0.033 -2.668 -2.192
H 2.752 0.523 -5.171
H -3.078 1.384 3.580
H 1.993 3.425 1.627
C -0.969 -3.890 -4.150
H -1.719 -6.133 2.253
C -0.525 -0.838 5.675
N 1.554 -1.416 -1.633
N 1.343 1.467 -2.411
H -1.872 0.102 -4.998
C 2.761 0.754 2.635
H 4.182 3.398 2.050
H 2.936 -2.476 -0.354
C -2.895 0.807 -3.134
C 4.425 1.087 -0.411
O -1.854 -9.502 -5.702
C -2.097 -2.830 1.564
C -0.188 3.016 2.954
N 1.474 0.660 -3.496
H 0.459 -0.716 3.764
B 0.509 -0.505 -3.734
C 3.393 -0.311 5.148
H -2.786 1.078 -0.926
C 3.877 1.776 0.663
H 2.635 2.633 3.676
C -3.540 -4.183 0.176
H 0.457 3.801 3.326
H -1.713 3.297 4.433
H 6.064 0.926 -1.778
H 1.983 -2.990 -4.518
H 3.162 1.698 5.872
C 2.756 -3.199 -2.472
H 0.404 -0.766 -4.905
C 3.125 1.044 5.009
C -1.914 0.254 -3.932
H -3.851 1.198 -3.432
C -2.359 0.735 -1.854
H 1.385 2.730 0.133
C 2.283 -2.616 -1.203
C -3.048 -2.937 0.559
N 1.023 -1.794 -2.958
C -1.392 2.731 3.568
H -0.725 -3.067 -4.815
C 3.342 -1.131 4.028
O -0.226 -1.318 1.553
H -1.947 -6.799 -1.819
C 4.578 2.852 1.202
H -3.398 -0.358 1.901
C -2.008 -6.053 -3.829
C -1.676 -5.979 -2.475
H 3.637 -0.723 6.118
C -1.695 -1.154 6.348
H 0.087 -7.510 -4.018
C 2.529 1.339 1.241
C -2.161 1.686 3.092
C 3.090 2.150 -3.671
C 2.036 -2.710 -3.478

***

112
Properties=species:S:1:pos:R:3 method="wB97M-V/def2-TZVPD" s_squared=0.765 homo_energy_ev="-2.2 / -2.2" multiplicity=2 charge=-2 relative_energy_kj_mol=21.6 lumo_ha="0.132 / 0.132"
C -0.498 -5.573 3.525
C 0.225 -5.148 2.421
C 0.350 6.759 -1.029
C -3.655 2.656 -1.838
H 0.159 -2.997 5.621
C -3.069 2.708 -0.456
H 4.478 0.990 -2.438
H -4.669 0.683 -6.111
C -1.249 2.701 1.124
H -0.193 2.628 1.352
H 1.513 3.751 0.002
H 2.919 -5.835 -0.239
C 5.889 -4.065 0.687
C -2.131 2.847 2.182
F -4.385 -4.870 6.479
>>>

I also wonder if we aren’t being far too narcessistic in believing the the power of our journals and blogs. Yes, a small percentage of videos and blogs do have import, and many serve as useful news filters, but much the blogosphere and vblogosphere isn’t worth the paper on which it is printed (probably including a large percentage of LiveJournal, and an even larger percentage of MySpace). Blog and journals do serve a useful purpose in keeping people connected with each other in a more timely fashion (much as daily letters used to), but that is not worthy of POTY-hood.

So did Time Magazine cop-out in giving me this award (I know, from your perspective, they didn’t give it to me, they gave it to you). Surely there was someone better, someone more deserving. Did they pick the easy choice, so they didn’t have to do research and make the hard decision. I don’t know. Perhaps you are more deserving than I. But they gave it to me, and I’ve already cleared off space on the mantle for it.

Unrelated to this entry: molecular data >
+++
Record 1
The following is a DFT calculation (ωB97M-V/def2-TZVPD) of one molecule with the formula C3H5NOS3.

Element x y z (Å)
O (2.303, -0.920, -1.303)
C (1.823, -0.281, -0.404)
S (2.075, 1.473, -0.183)
C (0.927, -0.900, 0.656)
S (-0.789, -1.047, 0.085)
C (-1.410, 0.573, 0.521)
N (-2.512, 1.079, 0.208)
S (-3.685, 0.331, -0.744)
H (2.815, 1.621, -1.301)
H (0.971, -0.336, 1.610)
H (1.280, -1.914, 0.844)
H (-0.723, 1.155, 1.131)
H (-3.073, -0.833, -1.122)

Cartesian forces (eV/Å) of the 6 atoms listed first:
-0.189 0.312 0.368
0.166 -0.265 -0.357
0.083 -0.079 -0.174
0.035 0.402 0.567
-0.142 0.293 0.046
0.756 -0.478 0.041

## Properties
highest occupied orbital energy = -8.92 eV
ΔE to the lowest compared entry with this formula, charge and spin = 19.6 kcal per mole
LUMO level = 0.015 Eh
SMILES = O=C(S)CS/C=N\S
electronic energy = -1441.8376 hartree
molar mass = 167.28 g mol⁻¹
HOMO-LUMO gap = 0.3431 hartree


Record 2
The following is a DFT calculation (ωB97M-V/def2-TZVPD) of a 21-piece molecular cluster, C14H68O20P2 overall.

Element x y z (Å)
P (1.952, 1.521, 1.640)
P (-1.127, -0.417, -1.147)
C (0.954, 0.998, 0.124)
C (0.075, -0.203, 0.277)
C (0.265, 3.076, 3.273)
C (4.421, 0.401, 0.978)
C (0.190, -0.160, -3.519)
C (-3.592, -1.084, -0.346)
C (2.662, 2.307, 3.944)
C (3.901, 1.632, 3.260)
C (-2.366, -0.140, -3.294)
C (-2.787, -1.505, -2.707)
C (1.706, 2.805, 2.844)
C (3.462, 0.643, 2.134)
C (-1.002, 0.380, -2.704)
C (-2.471, -1.535, -1.251)
H (0.196, 1.762, -0.106)
H (1.614, 0.927, -0.714)
H (-0.537, -0.147, 1.214)
H (0.745, -1.112, 0.380)
H (-0.312, 3.410, 2.423)
H (-0.202, 2.140, 3.573)
H (0.086, 3.751, 4.093)
H (4.618, 1.263, 0.431)
H (5.413, 0.075, 1.399)
H (4.122, -0.358, 0.302)
H (1.142, 0.179, -3.087)
H (0.387, -1.225, -3.435)
H (0.248, 0.160, -4.551)
H (-4.297, -1.900, -0.259)
H (-3.226, -0.807, 0.606)
H (-4.098, -0.229, -0.779)
H (2.059, 1.563, 4.496)
H (2.962, 3.143, 4.605)
H (4.526, 2.449, 2.830)
H (4.603, 1.130, 4.031)
H (-3.154, 0.555, -2.949)
H (-2.315, -0.166, -4.381)
H (-3.845, -1.685, -2.755)
H (-2.316, -2.376, -3.255)
H (2.117, 3.794, 2.451)
H (3.173, -0.338, 2.555)
H (-1.128, 1.446, -2.617)
H (-2.134, -2.536, -0.983)
O (-7.028, -1.128, 0.472)
H (-7.351, -1.177, 1.429)
H (-6.559, -0.240, 0.343)
O (7.062, 3.441, 2.246)
H (6.255, 3.567, 1.649)
H (6.825, 2.759, 2.955)
O (1.918, 0.114, 6.917)
H (1.535, -0.556, 6.262)
H (1.903, -0.303, 7.839)
O (6.366, -0.468, 5.299)
H (7.105, -0.599, 5.977)
H (6.100, -1.377, 4.943)
O (-3.566, -4.277, -4.972)
H (-3.953, -3.383, -5.247)
H (-3.442, -4.271, -3.968)
O (0.187, -1.922, -6.207)
H (1.016, -1.399, -6.457)
H (-0.622, -1.380, -6.481)
O (-3.491, -4.828, 0.423)
H (-3.808, -5.782, 0.537)
H (-4.259, -4.211, 0.654)
O (-0.643, -4.176, 0.278)
H (-1.644, -4.187, 0.424)
H (-0.245, -3.463, 0.876)
O (-1.969, -0.389, -7.357)
H (-1.312, 0.182, -7.872)
H (-2.488, -0.950, -8.021)
O (-5.840, -3.862, 1.107)
H (-6.533, -4.219, 1.752)
H (-6.095, -2.914, 0.863)
O (2.518, 1.746, -5.490)
H (3.004, 1.790, -4.604)
+++

So, I thank Time Magazine for this award. I promise to do my part and be a responsible blogger, and to only write about things of true import, like the grout in my bathtub and stubborn vegetation in a white house. I promise to express my true opinion of the musicals I see and the people I meet. I promise to expose the idiocy of our society and the foibles that pass for news these days. I know by doing so I’m fulfulling the trust that Time Magazine has placed in me. I’d like to thank those that brought me to your attention. In closing, think about this: Could the Time Person of the Year award actually be an insidious plot by print magazines to bring the networks to the point of overload by having every blogger write about how they got the award as Person of the Year?
